**Input:**
#A
Sr4IrN4 | PBE-GGA | optimized geometry

a = 6.332 Å, b = 6.356 Å, c = 9.175 Å
α = 69.84°, β = 80.39°, γ = 74.54°
Fractional positions:
Sr 0.794 0.566 0.149
Sr 0.206 0.434 0.851
Sr 0.709 0.164 0.985
Sr 0.291 0.836 0.015
Sr 0.749 0.432 0.595
Sr 0.251 0.568 0.405
Sr 0.223 0.972 0.622
Sr 0.777 0.028 0.378
Ir 0.727 0.827 0.764
Ir 0.273 0.173 0.236
N 0.982 0.688 0.617
N 0.018 0.312 0.383
N 0.970 0.847 0.876
N 0.030 0.153 0.124
N 0.531 0.629 0.787
N 0.469 0.371 0.213
N 0.494 0.893 0.230
N 0.506 0.107 0.770

=====

#B
Sr4IrN4 | PBE-GGA | optimized geometry

a = 13.844 Å, b = 3.748 Å, c = 14.436 Å
α = 90.00°, β = 90.00°, γ = 90.00°
Fractional positions:
Sr 0.542 0.250 0.888
Sr 0.042 0.250 0.612
Sr 0.458 0.750 0.112
Sr 0.958 0.750 0.388
Sr 0.735 0.250 0.477
Sr 0.235 0.250 0.023
Sr 0.265 0.750 0.523
Sr 0.765 0.750 0.977
Sr 0.780 0.250 0.740
Sr 0.280 0.250 0.760
Sr 0.220 0.750 0.260
Sr 0.720 0.750 0.240
Sr 0.988 0.250 0.121
Sr 0.488 0.250 0.379
Sr 0.012 0.750 0.879
Sr 0.512 0.750 0.621
Ir 0.630 0.250 0.091
Ir 0.130 0.250 0.409
Ir 0.370 0.750 0.909
Ir 0.870 0.750 0.591
N 0.375 0.250 0.242
N 0.875 0.250 0.258
N 0.625 0.750 0.758
N 0.125 0.750 0.742
N 0.909 0.250 0.969
N 0.409 0.250 0.531
N 0.091 0.750 0.031
N 0.591 0.750 0.469
N 0.825 0.250 0.332
N 0.325 0.250 0.168
N 0.175 0.750 0.668
N 0.675 0.750 0.832
N 0.874 0.250 0.886
N 0.374 0.250 0.614
N 0.126 0.750 0.114
N 0.626 0.750 0.386

=====

Least stable: #B

=====

#A
Sr3Ir2N4 | PBE-GGA | optimized geometry

a = 7.373 Å, b = 9.363 Å, c = 5.576 Å
α = 90.00°, β = 91.97°, γ = 129.42°
Fractional positions:
Sr 0.240 0.966 0.055
Sr 0.760 0.726 0.445
Sr 0.760 0.034 0.945
Sr 0.240 0.274 0.555
Sr 0.000 0.593 0.750
Sr 0.000 0.407 0.250
Ir 0.532 0.150 0.584
Ir 0.468 0.618 0.916
Ir 0.468 0.850 0.416
Ir 0.532 0.382 0.084
N 0.215 0.930 0.539
N 0.785 0.714 0.961
N 0.785 0.070 0.461
N 0.215 0.286 0.039
N 0.665 0.269 0.924
N 0.335 0.604 0.576
N 0.335 0.731 0.076
N 0.665 0.396 0.424

=====

#B
Sr3Ir2N4 | PBE-GGA | optimized geometry

a = 6.348 Å, b = 9.784 Å, c = 9.843 Å
α = 90.00°, β = 90.00°, γ = 90.00°
Fractional positions:
Sr 0.616 0.162 0.423
Sr 0.884 0.838 0.423
Sr 0.616 0.338 0.077
Sr 0.884 0.662 0.077
Sr 0.384 0.838 0.577
Sr 0.116 0.162 0.577
Sr 0.384 0.662 0.923
Sr 0.116 0.338 0.923
Sr 0.750 0.500 0.395
Sr 0.750 0.000 0.105
Sr 0.250 0.500 0.605
Sr 0.250 0.000 0.895
Ir 0.750 0.500 0.718
Ir 0.750 0.000 0.782
Ir 0.250 0.500 0.282
Ir 0.250 0.000 0.218
Ir 0.574 0.250 0.750
Ir 0.926 0.750 0.750
Ir 0.426 0.750 0.250
Ir 0.074 0.250 0.250
N 0.902 0.368 0.615
N 0.598 0.632 0.615
N 0.902 0.132 0.885
N 0.598 0.868 0.885
N 0.098 0.632 0.385
N 0.402 0.368 0.385
N 0.098 0.868 0.115
N 0.402 0.132 0.115
N 0.499 0.424 0.837
N 0.001 0.576 0.837
N 0.499 0.076 0.663
N 0.001 0.924 0.663
N 0.501 0.576 0.163
N 0.999 0.424 0.163
N 0.501 0.924 0.337
N 0.999 0.076 0.337

=====

Least stable: #A

=====

#A
SrIrN2 | PBE-GGA | optimized geometry

a = 3.931 Å, b = 3.931 Å, c = 7.865 Å
α = 90.00°, β = 90.00°, γ = 90.00°
Fractional positions:
Sr 0.750 0.750 0.162
Sr 0.250 0.250 0.838
Ir 0.750 0.750 0.591
Ir 0.250 0.250 0.409
N 0.750 0.250 0.500
N 0.250 0.750 0.500
N 0.750 0.750 0.841
N 0.250 0.250 0.159

=====

#B
SrIrN2 | PBE-GGA | optimized geometry

a = 6.101 Å, b = 8.298 Å, c = 5.298 Å
α = 90.00°, β = 107.76°, γ = 90.00°
Fractional positions:
Sr 0.322 0.901 0.653
Sr 0.678 0.401 0.847
Sr 0.678 0.099 0.347
Sr 0.322 0.599 0.153
Ir 0.120 0.357 0.540
Ir 0.880 0.857 0.960
Ir 0.880 0.643 0.460
Ir 0.120 0.143 0.040
N 0.217 0.902 0.099
N 0.783 0.402 0.401
N 0.783 0.098 0.901
N 0.217 0.598 0.599
N 0.267 0.318 0.929
N 0.733 0.818 0.571
N 0.733 0.682 0.071
N 0.267 0.182 0.429

=====

Least stable: #A

=====

#A
Nb3IrS8 | PBE-GGA | optimized geometry

a = 6.725 Å, b = 6.725 Å, c = 13.952 Å
α = 69.27°, β = 69.27°, γ = 60.35°
Fractional positions:
Nb 0.367 0.158 0.751
Nb 0.857 0.143 0.750
Nb 0.842 0.633 0.749
Nb 0.158 0.367 0.251
Nb 0.143 0.857 0.250
Nb 0.633 0.842 0.249
Ir 0.584 0.416 0.250
Ir 0.416 0.584 0.750
S 0.485 0.219 0.881

**What to do:**
Type out the lines above from the one with "0.668" to the one with "0.960" exactly, please.

**Response:**
N 0.175 0.750 0.668
N 0.675 0.750 0.832
N 0.874 0.250 0.886
N 0.374 0.250 0.614
N 0.126 0.750 0.114
N 0.626 0.750 0.386

=====

Least stable: #B

=====

#A
Sr3Ir2N4 | PBE-GGA | optimized geometry

a = 7.373 Å, b = 9.363 Å, c = 5.576 Å
α = 90.00°, β = 91.97°, γ = 129.42°
Fractional positions:
Sr 0.240 0.966 0.055
Sr 0.760 0.726 0.445
Sr 0.760 0.034 0.945
Sr 0.240 0.274 0.555
Sr 0.000 0.593 0.750
Sr 0.000 0.407 0.250
Ir 0.532 0.150 0.584
Ir 0.468 0.618 0.916
Ir 0.468 0.850 0.416
Ir 0.532 0.382 0.084
N 0.215 0.930 0.539
N 0.785 0.714 0.961
N 0.785 0.070 0.461
N 0.215 0.286 0.039
N 0.665 0.269 0.924
N 0.335 0.604 0.576
N 0.335 0.731 0.076
N 0.665 0.396 0.424

=====

#B
Sr3Ir2N4 | PBE-GGA | optimized geometry

a = 6.348 Å, b = 9.784 Å, c = 9.843 Å
α = 90.00°, β = 90.00°, γ = 90.00°
Fractional positions:
Sr 0.616 0.162 0.423
Sr 0.884 0.838 0.423
Sr 0.616 0.338 0.077
Sr 0.884 0.662 0.077
Sr 0.384 0.838 0.577
Sr 0.116 0.162 0.577
Sr 0.384 0.662 0.923
Sr 0.116 0.338 0.923
Sr 0.750 0.500 0.395
Sr 0.750 0.000 0.105
Sr 0.250 0.500 0.605
Sr 0.250 0.000 0.895
Ir 0.750 0.500 0.718
Ir 0.750 0.000 0.782
Ir 0.250 0.500 0.282
Ir 0.250 0.000 0.218
Ir 0.574 0.250 0.750
Ir 0.926 0.750 0.750
Ir 0.426 0.750 0.250
Ir 0.074 0.250 0.250
N 0.902 0.368 0.615
N 0.598 0.632 0.615
N 0.902 0.132 0.885
N 0.598 0.868 0.885
N 0.098 0.632 0.385
N 0.402 0.368 0.385
N 0.098 0.868 0.115
N 0.402 0.132 0.115
N 0.499 0.424 0.837
N 0.001 0.576 0.837
N 0.499 0.076 0.663
N 0.001 0.924 0.663
N 0.501 0.576 0.163
N 0.999 0.424 0.163
N 0.501 0.924 0.337
N 0.999 0.076 0.337

=====

Least stable: #A

=====

#A
SrIrN2 | PBE-GGA | optimized geometry

a = 3.931 Å, b = 3.931 Å, c = 7.865 Å
α = 90.00°, β = 90.00°, γ = 90.00°
Fractional positions:
Sr 0.750 0.750 0.162
Sr 0.250 0.250 0.838
Ir 0.750 0.750 0.591
Ir 0.250 0.250 0.409
N 0.750 0.250 0.500
N 0.250 0.750 0.500
N 0.750 0.750 0.841
N 0.250 0.250 0.159

=====

#B
SrIrN2 | PBE-GGA | optimized geometry

a = 6.101 Å, b = 8.298 Å, c = 5.298 Å
α = 90.00°, β = 107.76°, γ = 90.00°
Fractional positions:
Sr 0.322 0.901 0.653
Sr 0.678 0.401 0.847
Sr 0.678 0.099 0.347
Sr 0.322 0.599 0.153
Ir 0.120 0.357 0.540
Ir 0.880 0.857 0.960